Licence Plate Denial
Most customers pay their bills on a regular basis and will not be affected by licence plate denial. Unfortunately, some customers refuse to pay. That‘s unfair to paying customers and 407 ETR Concession Company Limited ("407 ETR"), the company that manages and operates Highway 407 ETR and provides tolling and back office services for the Province of Ontario’s Highway 407.
Highway 407 ETR, Highway 407 (including Highway 412 and Highway 418) are all-electronic, open-access toll highways without booths or barriers. This design was chosen by the Ontario Government to improve traffic flow and to reduce congestion. Because there are no barriers, drivers cannot be prevented from using the toll highways – even if they are unable or unwilling to pay their tolls.
While other companies refuse service, cancel credit or turn off utilities to those who refuse to pay, licence plate denial is the only effective means to collect payment from those few individuals who take advantage of the open-access highways.
How Does Licence Plate Denial Work?
Records of crystals, kept here for reference =
Below is a geometry-optimized Fe4Co3P6O24 structure, with properties calculated at the PBE+U level.

formation enthalpy at 0 K = -2266 meV per atom

Unit cell a=6.4121 b=7.9552 c=9.4111 alpha=104.47 beta=108.39 gamma=101.41
Atoms (fractional coordinates):
Fe (0.6159, 0.5496, 0.8865)
Fe (0.0462, 0.7242, 0.5266)
Fe (0.3841, 0.4504, 0.1135)
Fe (0.9538, 0.2758, 0.4734)
Co (0.2928, 0.8057, 0.2901)
Co (0.7072, 0.1943, 0.7099)
Co (0.0000, 0.0000, 0.0000)
P (0.7738, 0.8516, 0.2292)
P (0.2262, 0.1484, 0.7708)
P (0.6066, 0.7765, 0.6328)
P (0.3934, 0.2235, 0.3672)
P (0.0891, 0.5960, 0.8325)
P (0.9109, 0.4040, 0.1675)
O (0.7895, 0.0500, 0.2943)
O (0.2105, 0.9500, 0.7057)
O (0.7744, 0.8046, 0.0566)
O (0.2256, 0.1954, 0.9434)
O (0.6281, 0.2269, 0.4903)
O (0.3719, 0.7731, 0.5097)
O (0.0172, 0.1918, 0.6633)
O (0.9828, 0.8082, 0.3367)
O (0.8754, 0.4646, 0.8380)
O (0.1246, 0.5354, 0.1620)
O (0.8905, 0.2101, 0.0848)
O (0.1095, 0.7899, 0.9152)
O (0.9376, 0.4497, 0.3460)
O (0.2708, 0.0326, 0.2357)
O (0.7292, 0.9674, 0.7643)
O (0.3080, 0.5416, 0.9161)
O (0.6920, 0.4584, 0.0839)
O (0.2480, 0.2720, 0.4632)
O (0.0624, 0.5503, 0.6540)
O (0.4480, 0.3634, 0.2871)
O (0.5520, 0.6366, 0.7129)
O (0.4547, 0.2686, 0.7757)
O (0.5453, 0.7314, 0.2243)
O (0.7520, 0.7280, 0.5368)

Below is a geometry-optimized FeCoP2O8 structure, with properties calculated at the PBE+U level.

offset from the most stable computed form = 0.13 eV/f.u.
formation enthalpy at 0 K = -2156 meV per atom

Unit cell a=8.3732 b=8.3732 c=8.3732 alpha=62.08 beta=62.08 gamma=62.08
Atoms (fractional coordinates):
Fe (0.3548, 0.3548, 0.3548)
Fe (0.1448, 0.1448, 0.1448)
Fe (0.6452, 0.6452, 0.6452)
Co (0.9984, 0.9984, 0.9984)
Co (0.8536, 0.8536, 0.8536)
Co (0.5003, 0.5003, 0.5003)
P (0.4531, 0.7505, 0.0472)
P (0.7505, 0.0472, 0.4531)
P (0.0472, 0.4531, 0.7505)
P (0.9522, 0.5484, 0.2489)
P (0.2489, 0.9522, 0.5484)
P (0.5484, 0.2489, 0.9522)
O (0.6754, 0.8928, 0.4963)
O (0.8928, 0.4963, 0.6754)
O (0.4963, 0.6754, 0.8928)
O (0.2504, 0.9039, 0.0620)
O (0.6092, 0.8247, 0.0041)
O (0.4397, 0.5960, 0.2498)
O (0.9039, 0.0620, 0.2504)
O (0.5960, 0.2498, 0.4397)
O (0.9956, 0.3930, 0.1752)
O (0.2498, 0.4397, 0.5960)
O (0.9370, 0.7508, 0.0943)
O (0.1752, 0.9956, 0.3930)
O (0.8247, 0.0041, 0.6092)
O (0.0620, 0.2504, 0.9039)
O (0.7494, 0.5637, 0.4033)
O (0.0041, 0.6092, 0.8247)
O (0.4033, 0.7494, 0.5637)
O (0.0943, 0.9370, 0.7508)
O (0.5637, 0.4033, 0.7494)
O (0.3930, 0.1752, 0.9956)
O (0.7508, 0.0943, 0.9370)
O (0.5060, 0.3221, 0.1078)
O (0.1078, 0.5060, 0.3221)
O (0.3221, 0.1078, 0.5060)


# LiMnP2O7, relaxed, DFT PBE+U
data_LiMnP2O7
_chemical_formula_sum 'Li4 Mn4 P8 O28'
_symmetry_space_group_name_H-M 'P 1'
_symmetry_Int_Tables_number 1
_cell_length_a 5.167
_cell_length_b 8.412
_cell_length_c 13.864
_cell_angle_alpha 63.14
_cell_angle_beta 90.00
_cell_angle_gamma 90.00
loop_
_symmetry_equiv_pos_as_xyz
'x,y,z'
loop_
_atom_site_label
_atom_site_type_symbol
_atom_site_fract_x
_atom_site_fract_y
_atom_site_fract_z
End of the records of crystals =
Under the Highway 407 Act and the Highway 407 East Act (collectively, the "Acts"), 407 ETR follows a very thorough legislated process when requesting the Ontario Registrar of Motor Vehicles (the "Registrar") to deny the renewal of an existing vehicle permit or issuance of a new one.
Notice of Failure to Pay
As outlined in the Act, if a 407 bill is outstanding for 35 days, a notice of failure to pay can be sent to the customer. A notice of failure to pay must be sent to the customer‘s address listed in the Ontario Ministry of Transportation’s (MTO) database. Upon receipt of a notice of failure to pay, a customer may pay their bill and/or send a notice of dispute within 30 days listing one or more of the permitted grounds for dispute set out in the Act.
Opportunity to Dispute
If the customer sends a notice of dispute, 407 ETR has 30 days to respond. If 407 ETR fails to respond, the disputed amount cannot be sent to licence plate denial.
(What comes next are records of crystals, not part of the entry)
┌──
Compound: MnCrO4
Source: Materials Project
Functional: PBE with a Hubbard U
Structure: relaxed

Structure (CIF):
```
data_MnCrO4
_cell_length_a 6.967
_cell_length_b 6.967
_cell_length_c 6.961
_cell_angle_alpha 79.77
_cell_angle_beta 79.77
_cell_angle_gamma 85.53
_symmetry_space_group_name_H-M 'P 1'
_symmetry_Int_Tables_number 1
loop_
_symmetry_equiv_pos_as_xyz
'x,y,z'
loop_
_atom_site_label
_atom_site_type_symbol
_atom_site_fract_x
_atom_site_fract_y
_atom_site_fract_z
Mn1 Mn 0.792 0.792 0.868
Mn2 Mn 0.815 0.185 0.500
Mn3 Mn 0.185 0.815 0.500
Mn4 Mn 0.208 0.208 0.132
Cr1 Cr 0.726 0.726 0.411
Cr2 Cr 0.745 0.255 0.000
Cr3 Cr 0.255 0.745 0.000
Cr4 Cr 0.274 0.274 0.589
O1 O 0.856 0.856 0.537
O2 O 0.789 0.789 0.170
O3 O 0.780 0.483 0.896
O4 O 0.483 0.780 0.896
O5 O 0.493 0.784 0.476
O6 O 0.784 0.493 0.476
O7 O 0.112 0.799 0.819
O8 O 0.799 0.112 0.819
O9 O 0.888 0.201 0.181
O10 O 0.201 0.888 0.181
O11 O 0.507 0.216 0.524
O12 O 0.216 0.507 0.524
O13 O 0.517 0.220 0.104
O14 O 0.220 0.517 0.104
O15 O 0.211 0.211 0.830
O16 O 0.144 0.144 0.463
```

Output
Total energy after the MP2020 corrections, eV per atom: -8.29
Polymorph energy (0 for the lowest one), meV per atom: 12
Energy relative to the elements, eV per atom: -1.856


Compound: MnCrO4
Source: Materials Project
Functional: PBE with a Hubbard U
Structure: relaxed

Structure (CIF):
```
data_MnCrO4
_cell_length_a 5.135
_cell_length_b 5.135
_cell_length_c 6.689
_cell_angle_alpha 90.00
_cell_angle_beta 90.00
_cell_angle_gamma 66.59
_symmetry_space_group_name_H-M 'P 1'
_symmetry_Int_Tables_number 1
loop_
_symmetry_equiv_pos_as_xyz
'x,y,z'
loop_
_atom_site_label
_atom_site_type_symbol
_atom_site_fract_x
_atom_site_fract_y
_atom_site_fract_z
Mn1 Mn 0.000 0.000 0.500
Mn2 Mn 0.000 0.000 0.000
Cr1 Cr 0.644 0.644 0.250
Cr2 Cr 0.356 0.356 0.750
O1 O 0.756 0.756 0.450
O2 O 0.244 0.244 0.550
O3 O 0.756 0.756 0.050
O4 O 0.244 0.244 0.950
O5 O 0.783 0.281 0.250
O6 O 0.719 0.217 0.750
O7 O 0.217 0.719 0.750
O8 O 0.281 0.783 0.250
```

Output
Total energy after the MP2020 corrections, eV per atom: -8.30
Polymorph energy (0 for the lowest one), meV per atom: 0
Energy relative to the elements, eV per atom: -1.868


Compound: Mn3Cr3O8
Source: Materials Project
Functional: PBE with a Hubbard U
Structure: relaxed

Structure (CIF):
```
data_Mn3Cr3O8
_cell_length_a 6.104
_cell_length_b 6.104
_cell_length_c 6.104
_cell_angle_alpha 59.83
_cell_angle_beta 59.83
_cell_angle_gamma 59.83
_symmetry_space_group_name_H-M 'P 1'
_symmetry_Int_Tables_number 1
loop_
_symmetry_equiv_pos_as_xyz
'x,y,z'
loop_
_atom_site_label
_atom_site_type_symbol
_atom_site_fract_x
_atom_site_fract_y
_atom_site_fract_z
Mn1 Mn 0.625 0.625 0.625
Mn2 Mn 0.375 0.375 0.375
Mn3 Mn 0.000 0.000 0.000
Cr1 Cr 0.000 0.500 0.000
Cr2 Cr 0.500 0.000 0.000
Cr3 Cr 0.000 0.000 0.500
O1 O 0.236 0.236 0.236
O2 O 0.240 0.789 0.240
O3 O 0.789 0.240 0.240
O4 O 0.240 0.240 0.789
O5 O 0.764 0.764 0.764
O6 O 0.760 0.211 0.760
O7 O 0.211 0.760 0.760
O8 O 0.760 0.760 0.211
```
└──
(So much for the records of crystals)
If 407 ETR does not agree with any or all of the disputed items in the customer‘s notice of dispute, the customer has the right to appeal 407 ETR‘s decision to an independent dispute arbitrator that has been appointed by the Ontario Government. Please note that the licence plate denial process continues while the matter is appealed to the independent arbitrator.
If the arbitrator finds in favour of the customer and the customer has already paid the amounts owing while they were in licence plate denial or otherwise, the disputed amount plus interest is returned to the customer.
If a customer sends a notice of dispute to 407 ETR, 407 ETR will not use a collection agency or seek court enforcement to collect the amounts until the final disposition of the customer‘s dispute or, if applicable, arbitration.
Notice of Licence Plate Denial
A minimum of 90 days must elapse between the issuance of the notice of failure to pay and the referral of amounts owed to the Registrar. Upon referral to the Registrar, the customer is sent a notice of licence plate denial (by bonded courier for initial notices and by ordinary mail for subsequent notices) to their reported address listed in the MTO’s database.
The Registrar places the customer in licence plate denial at the same time the notice of licence plate denial is sent to the customer. This means that the customer will be unable to renew their licence plate or obtain a new licence plate until all tolls, fees and interest referred to the Registrar by 407 ETR have been paid in full. An Enforcement Fee is also charged if your account is referred to the Registrar for licence plate denial.
Licence Plate Denial Collection
Highway 407 ETR and the Province of Ontario’s Highway 407 (including Highway 412 and Highway 418) collect tolls, fees and, as applicable, interest (together, "407 Charges") from their customers subsequent to their use of the toll highways. This “buy now and pay later” system of payment of 407 Charges was purposely chosen by the Ontario Government to improve traffic flow and to reduce congestion, land use and pollution.
Unlike other service providers that can refuse to provide service, cancel credit or turn off utilities to those who fail to pay, 407 ETR does not have the opportunity or ability to screen or examine the credit-worthiness of customers until after they have used the toll highway. While most customers pay their bills on time, some do not. 407 ETR uses traditional collection methods, similar to those used by other companies, to collect payment from these individuals. In addition, 407 ETR can require the Registrar to deny the renewal of existing vehicle permits or the issuance of new ones to customers who continue to be delinquent.
The Acts expressly allow for licence plate denial, which is modeled after other provincially mandated licence suspension processes, and remains one of the few effective remedies available to 407 ETR to collect outstanding amounts.
407 ETR recognizes that there are instances whereby customers may have extenuating circumstances that are not financial in nature, yet they require the use of their vehicle. The "Exceptional Hardship Plan" is designed to assist such customers who may fall into this category. Click here for details regarding the "Exceptional Hardship Plan" process.